Contents =
=====
<P>
Compound: PrEr3
Source: Materials Project
Functional: PBE
Structure: relaxed

Calculated values
The symmetry is I4/mmm (139).

Cell: 6.1650 6.1650 6.1650 Å, 131.58 131.58 70.90°
Closest atoms and distances in Å follow each position.
Fractional coordinates of all 4 atoms:
Pr (0.0000, 0.0000, 0.0000)  12 Er 3.56-3.58
Er (0.2500, 0.7500, 0.5000)  8 Er 3.56-3.58, 4 Pr 3.56
Er (0.5000, 0.5000, 0.0000)  8 Er 3.56, 4 Pr 3.58
Er (0.7500, 0.2500, 0.5000)  8 Er 3.56-3.58, 4 Pr 3.56

---

<Q>
Compound: PrEr3
Source: Materials Project
Functional: PBE
Structure: relaxed

Calculated values
The symmetry is P6_3/mmc (194).

Cell: 7.2323 7.2323 5.7421 Å, 90.00 90.00 120.00°
Closest atoms and distances in Å follow each position.
Fractional coordinates of all 8 atoms:
Pr (0.3333, 0.6667, 0.2500)  12 Er 3.57-3.62
Pr (0.6667, 0.3333, 0.7500)  12 Er 3.57-3.62
Er (0.1641, 0.3283, 0.7500)  8 Er 3.53-3.67, 4 Pr 3.57-3.62
Er (0.1641, 0.8359, 0.7500)  8 Er 3.53-3.67, 4 Pr 3.57-3.62
Er (0.3283, 0.1641, 0.2500)  8 Er 3.53-3.67, 4 Pr 3.57-3.62
Er (0.6717, 0.8359, 0.7500)  8 Er 3.53-3.67, 4 Pr 3.57-3.62
Er (0.8359, 0.1641, 0.2500)  8 Er 3.53-3.67, 4 Pr 3.57-3.62
Er (0.8359, 0.6717, 0.2500)  8 Er 3.53-3.67, 4 Pr 3.57-3.62

---

Unit: kJ/mol of atoms. Relative energies: <P> 1.2; <Q> 0.0.

=====

AlSNCl3 after structural relaxation, computed with GGA-PBE.

Cell: 10.027 7.398 9.575 Å, 64.81 90.00 90.00°
Positions (direct):
Al1 0.870 0.732 0.164
Al2 0.130 0.268 0.836
Al3 0.370 0.268 0.336
Al4 0.630 0.732 0.664
S1 0.967 0.353 0.117
S2 0.033 0.647 0.883
S3 0.467 0.647 0.383
S4 0.533 0.353 0.617
N1 0.956 0.600 0.048
N2 0.044 0.400 0.952
N3 0.456 0.400 0.452
N4 0.544 0.600 0.548
Cl1 0.480 0.905 0.709
Cl2 0.520 0.095 0.291
Cl3 0.980 0.095 0.791
Cl4 0.020 0.905 0.209
Cl5 0.695 0.882 0.052
Cl6 0.305 0.118 0.948
Cl7 0.195 0.118 0.448
Cl8 0.805 0.882 0.552
Cl9 0.829 0.456 0.362
Cl10 0.171 0.544 0.638
Cl11 0.329 0.544 0.138
Cl12 0.671 0.456 0.862

Results
ΔH_f (0 K)	-1.165	eV per atom
E_tot	-4.49	eV per atom

=====

# 1
This record from Materials Project describes K2ZnN4 after structural relaxation. The functional is PBE.

Computed properties:
- symmetry = No. 2
- energy relative to the elements (eV per atom) = 1.382

```
K2ZnN4
1.0
7.0005 0.0000 0.0000
3.3781 6.2922 0.0000
2.7594 1.2922 7.5975
K Zn N
4 2 8
Cartesian
2.7362 1.9686 1.2174
3.8822 1.9094 5.0269
9.2559 5.6750 2.5706
10.4019 5.6158 6.3800
5.8488 4.7836 1.8482
7.2893 2.8009 5.7493
4.3742 3.7932 2.5729
5.7764 3.9353 6.1588
5.2701 5.6649 0.1848
6.4764 6.1956 3.0193
6.6617 1.3888 4.5782
7.8680 1.9195 7.4127
7.3617 3.6491 1.4386
8.7639 3.7912 5.0245
```

***

# 2
This record from Materials Project describes KNaNdNbO5 after structural relaxation. The functional is PBE.

Computed properties:
- symmetry = No. 129
- energy relative to the elements (eV per atom) = -3.006

```
KNaNdNbO5
1.0
5.7887 0.0000 0.0000
0.0000 5.7887 0.0000
0.0000 0.0000 8.3876
K Na Nd Nb O
2 2 2 2 10
Cartesian
1.4472 4.3415 0.0000
4.3415 1.4472 0.0000
1.4472 1.4472 2.0227
4.3415 4.3415 6.3649
1.4472 4.3415 4.1938
4.3415 1.4472 4.1938
1.4472 1.4472 6.2279
4.3415 4.3415 2.1597
0.1109 0.1109 5.6192
0.1109 2.7834 5.6192
1.4472 1.4472 8.0992
2.7834 0.1109 5.6192
2.7834 2.7834 5.6192
3.0052 3.0052 2.7684
3.0052 5.6778 2.7684
4.3415 4.3415 0.2884
5.6778 3.0052 2.7684
5.6778 5.6778 2.7684
```

***

# 3
This record from Materials Project describes KNaPrNbO5 after structural relaxation. The functional is PBE.

Computed properties:
- symmetry = No. 129
- energy relative to the elements (eV per atom) = -2.999

```
KNaPrNbO5
1.0
5.8168 0.0000 0.0000
0.0000 5.8168 0.0000
0.0000 0.0000 8.3918
K Na Pr Nb O
2 2 2 2 10
Cartesian
1.4542 4.3626 0.0000
4.3626 1.4542 0.0000
1.4542 1.4542 2.0232
4.3626 4.3626 6.3686
1.4542 4.3626 4.1959
4.3626 1.4542 4.1959
1.4542 1.4542 6.2410
4.3626 4.3626 2.1508
0.1155 0.1155 5.6370
0.1155 2.7929 5.6370
1.4542 1.4542 8.1098
2.7929 0.1155 5.6370
2.7929 2.7929 5.6370
3.0239 3.0239 2.7547
3.0239 5.7013 2.7547
4.3626 4.3626 0.2819
=====

Work order =
Please return the contents further above without altering anything.

Written answer =
<P>
Compound: PrEr3
Source: Materials Project
Functional: PBE
Structure: relaxed

Calculated values
The symmetry is I4/mmm (139).

Cell: 6.1650 6.1650 6.1650 Å, 131.58 131.58 70.90°
Closest atoms and distances in Å follow each position.
Fractional coordinates of all 4 atoms:
Pr (0.0000, 0.0000, 0.0000)  12 Er 3.56-3.58
Er (0.2500, 0.7500, 0.5000)  8 Er 3.56-3.58, 4 Pr 3.56
Er (0.5000, 0.5000, 0.0000)  8 Er 3.56, 4 Pr 3.58
Er (0.7500, 0.2500, 0.5000)  8 Er 3.56-3.58, 4 Pr 3.56

---

<Q>
Compound: PrEr3
Source: Materials Project
Functional: PBE
Structure: relaxed

Calculated values
The symmetry is P6_3/mmc (194).

Cell: 7.2323 7.2323 5.7421 Å, 90.00 90.00 120.00°
Closest atoms and distances in Å follow each position.
Fractional coordinates of all 8 atoms:
Pr (0.3333, 0.6667, 0.2500)  12 Er 3.57-3.62
Pr (0.6667, 0.3333, 0.7500)  12 Er 3.57-3.62
Er (0.1641, 0.3283, 0.7500)  8 Er 3.53-3.67, 4 Pr 3.57-3.62
Er (0.1641, 0.8359, 0.7500)  8 Er 3.53-3.67, 4 Pr 3.57-3.62
Er (0.3283, 0.1641, 0.2500)  8 Er 3.53-3.67, 4 Pr 3.57-3.62
Er (0.6717, 0.8359, 0.7500)  8 Er 3.53-3.67, 4 Pr 3.57-3.62
Er (0.8359, 0.1641, 0.2500)  8 Er 3.53-3.67, 4 Pr 3.57-3.62
Er (0.8359, 0.6717, 0.2500)  8 Er 3.53-3.67, 4 Pr 3.57-3.62

---

Unit: kJ/mol of atoms. Relative energies: <P> 1.2; <Q> 0.0.

=====

AlSNCl3 after structural relaxation, computed with GGA-PBE.

Cell: 10.027 7.398 9.575 Å, 64.81 90.00 90.00°
Positions (direct):
Al1 0.870 0.732 0.164
Al2 0.130 0.268 0.836
Al3 0.370 0.268 0.336
Al4 0.630 0.732 0.664
S1 0.967 0.353 0.117
S2 0.033 0.647 0.883
S3 0.467 0.647 0.383
S4 0.533 0.353 0.617
N1 0.956 0.600 0.048
N2 0.044 0.400 0.952
N3 0.456 0.400 0.452
N4 0.544 0.600 0.548
Cl1 0.480 0.905 0.709
Cl2 0.520 0.095 0.291
Cl3 0.980 0.095 0.791
Cl4 0.020 0.905 0.209
Cl5 0.695 0.882 0.052
Cl6 0.305 0.118 0.948
Cl7 0.195 0.118 0.448
Cl8 0.805 0.882 0.552
Cl9 0.829 0.456 0.362
Cl10 0.171 0.544 0.638
Cl11 0.329 0.544 0.138
Cl12 0.671 0.456 0.862

Results
ΔH_f (0 K)	-1.165	eV per atom
E_tot	-4.49	eV per atom

=====

# 1
This record from Materials Project describes K2ZnN4 after structural relaxation. The functional is PBE.

Computed properties:
- symmetry = No. 2
- energy relative to the elements (eV per atom) = 1.382

```
K2ZnN4
1.0
7.0005 0.0000 0.0000
3.3781 6.2922 0.0000
2.7594 1.2922 7.5975
K Zn N
4 2 8
Cartesian
2.7362 1.9686 1.2174
3.8822 1.9094 5.0269
9.2559 5.6750 2.5706
10.4019 5.6158 6.3800
5.8488 4.7836 1.8482
7.2893 2.8009 5.7493
4.3742 3.7932 2.5729
5.7764 3.9353 6.1588
5.2701 5.6649 0.1848
6.4764 6.1956 3.0193
6.6617 1.3888 4.5782
7.8680 1.9195 7.4127
7.3617 3.6491 1.4386
8.7639 3.7912 5.0245
```

***

# 2
This record from Materials Project describes KNaNdNbO5 after structural relaxation. The functional is PBE.

Computed properties:
- symmetry = No. 129
- energy relative to the elements (eV per atom) = -3.006

```
KNaNdNbO5
1.0
5.7887 0.0000 0.0000
0.0000 5.7887 0.0000
0.0000 0.0000 8.3876
K Na Nd Nb O
2 2 2 2 10
Cartesian
1.4472 4.3415 0.0000
4.3415 1.4472 0.0000
1.4472 1.4472 2.0227
4.3415 4.3415 6.3649
1.4472 4.3415 4.1938
4.3415 1.4472 4.1938
1.4472 1.4472 6.2279
4.3415 4.3415 2.1597
0.1109 0.1109 5.6192
0.1109 2.7834 5.6192
1.4472 1.4472 8.0992
2.7834 0.1109 5.6192
2.7834 2.7834 5.6192
3.0052 3.0052 2.7684
3.0052 5.6778 2.7684
4.3415 4.3415 0.2884
5.6778 3.0052 2.7684
5.6778 5.6778 2.7684
```

***

# 3
This record from Materials Project describes KNaPrNbO5 after structural relaxation. The functional is PBE.

Computed properties:
- symmetry = No. 129
- energy relative to the elements (eV per atom) = -2.999

```
KNaPrNbO5
1.0
5.8168 0.0000 0.0000
0.0000 5.8168 0.0000
0.0000 0.0000 8.3918
K Na Pr Nb O
2 2 2 2 10
Cartesian
1.4542 4.3626 0.0000
4.3626 1.4542 0.0000
1.4542 1.4542 2.0232
4.3626 4.3626 6.3686
1.4542 4.3626 4.1959
4.3626 1.4542 4.1959
1.4542 1.4542 6.2410
4.3626 4.3626 2.1508
0.1155 0.1155 5.6370
0.1155 2.7929 5.6370
1.4542 1.4542 8.1098
2.7929 0.1155 5.6370
2.7929 2.7929 5.6370
3.0239 3.0239 2.7547
3.0239 5.7013 2.7547
4.3626 4.3626 0.2819